\uD83D\uDCD8 Instructions
Download and install the latest stable version of Foobar found here. [Note: please use the 64-bit version.]
Download and install the latest Vividizer Plug-In. Can be purchased here.
Download the Foobar “VST 2.x/3.x Adapter” here.
Open Foobar and add the VST Adapter to your plug-ins.
Go to File->Preferences-> Components
Click “Install…”
Navigate to the VST Adapter you just downloaded called “foo_dsp_vst3.fb2k-component”
[Records of crystals that have nothing to do with the text]
/*
For AcAg2MoO6, DFT lattice parameters and positions (PBE+U) gives the theoretical powder X-ray diffraction pattern in this record (Cu Ka).
No peak broadening, texture or thermal motion is included.

Atomic structure:
```
AcAg2MoO6
1.0
5.8761 0.0000 0.0000
2.9376 5.0918 0.0000
2.9338 1.6901 5.0249
Ac Ag Mo O
1 2 1 6
direct
0.0000 0.0000 0.0000
0.2513 0.2503 0.2475
0.7165 0.7163 0.8503
0.4997 0.4994 0.5011
0.1736 0.7289 0.6807
0.3274 0.5951 0.2243
0.4165 0.1742 0.6820
0.5955 0.8527 0.2229
0.7276 0.4183 0.6816
0.8526 0.3272 0.2251
```

Main lines, low angle first (2θ from 10° to 90°):
2theta, intensity, h k l
29.49, 100, 1 1 2
30.42, 93, 2 1 1
35.38, 22, 2 1 0
42.88, 40, 2 2 0
53.47, 40, 3 2 3
54.05, 25, 3 3 2
*/
Click “Open”
Click “Apply”
Restart Foobar
Add the Vividizer Plug-In to your active DSPs.
go to File->Preferences->Playback->DSP Manager.
In the “Available DSPs” column on the right, click the ‘+’ next to the “VST 2.x/3.x Adapter” to add it to the Active DSPs column. [Note: if “VST 2.x/3.x Adapter” is not an option in your “Available DSPs” step 4 was not completed correctly and must be redone.]
Click the three dots next to the VST 2.x/3.x Adapter in the Active DSPs column. A window called “VST Effect Configuration” will open.
Click the drop-down and add the Vividizer plug-in. [Note: if no VST effects are found, click “Folders …” and ensure the path to the Vividizer.vst3 is selected. The Vividizer.vst3 should be stored at
C:\Program Files\Common Files\VST3\Vivaldi3d\Vividizer.vst3
. If it still doesn’t show up, the Vividizer plug-in was not installed correctly. Follow the steps in the Vividizer installer again.]When the Vividizer interface pops up, add your license key or start a trial.
Adjust your Half-Span Angle as desired based off of your speaker set-up. Then close the Vividizer interface and the VST Effect Configuration page.
Click “Apply” and then “Ok”.
The Vividizer plug-in will now be applied to your audio path. To remove Vividizer, click the “X” to remove it from the “Active DSPs” column. To re-add Vividizer to your audio path, click the “+” next to “VST 2.x/3.x Adapter”. It should show up as “VST: Vividizer”. If it does not, re-initialize Vividizer by repeating Step 5.
To bring up the Vividizer tuning interface again, simply navigate to File->Preferences->Playback-> Components and under “Active DSPs” click the three dots on the right of “VST: Vividizer“.
Walkthrough Video
Tuning Vividizer in Foobar
View file | ||
View file | ||
Import the “L” and/or “R” pink noise files above into Foobar.
Right click the ‘Play’ button in Foobar and select “Playback Order”.
In the “Order:” drop down menu, select “Repeat (track)”. This is how you ‘loop’ audio files in Foobar. Once finished with the tuning procedure, turn this off to prevent audio files from continuing to loop.
These calculated crystals were left in the entry by mistake:
-- begin --
No. 1
# Ba7Cd2Ga2
Theoretical powder XRD pattern, CuKα. Input: the PBE geometry in Alexandria.
Peak positions follow from Bragg's law for the DFT cell and can differ from measured ones.

Largest 8 diffraction maxima, most intense first, 2θ = 5–70°:
2theta  I (rel.)
32.03  100
25.03  79
30.79  78
28.14  63
39.24  61
23.34  45
22.92  42
47.95  34

Cell and atoms:
Unit cell a=7.661 b=7.661 c=9.024 alpha=90.05 beta=90.05 gamma=68.25
Atoms (fractional coordinates):
Ba (0.000, 0.000, 0.000)
Ba (0.000, 0.500, 0.293)
Ba (0.000, 0.500, 0.707)
Ba (0.500, 0.000, 0.293)
Ba (0.500, 0.000, 0.707)
Ba (0.500, 0.500, 0.295)
Ba (0.500, 0.500, 0.705)
Cd (0.315, 0.315, 0.000)
Cd (0.685, 0.685, 0.000)
Ga (0.147, 0.853, 0.500)
Ga (0.853, 0.147, 0.500)



No. 2
# AcInTe4Pb2
Theoretical powder XRD pattern, CuKα. Input: the PBE geometry in Alexandria.
Peak positions follow from Bragg's law for the DFT cell and can differ from measured ones.

Largest 8 diffraction maxima, most intense first, 2θ = 5–70°:
2theta  I (rel.)
26.75  100
38.31  78
26.92  49
47.34  43
38.18  39
62.33  38
69.10  28
62.64  19

Cell and atoms:
Unit cell a=8.130 b=8.130 c=8.130 alpha=131.59 beta=131.59 gamma=70.88
Atoms (fractional coordinates):
Ac (0.000, 0.000, 0.000)
In (0.750, 0.250, 0.500)
Te (0.003, 0.503, 0.500)
Te (0.250, 0.250, 0.000)
Te (0.497, 0.997, 0.500)
Te (0.750, 0.750, 0.000)
Pb (0.250, 0.750, 0.500)
Pb (0.500, 0.500, 0.000)



No. 3
# AlB2P
Theoretical powder XRD pattern, CuKα. Input: the PBE geometry in Alexandria.
Peak positions follow from Bragg's law for the DFT cell and can differ from measured ones.

Largest 8 diffraction maxima, most intense first, 2θ = 5–70°:
2theta  I (rel.)
25.37  100
51.92  24
24.43  22
33.31  20
22.08  18
35.30  18
50.10  15
40.75  14

Cell and atoms:
Unit cell a=4.029 b=4.219 c=6.759 alpha=92.37 beta=91.96 gamma=91.20
Atoms (fractional coordinates):
Al (0.000, 0.000, 0.000)
Al (0.463, 0.423, 0.618)
B (0.224, 0.214, 0.313)
B (0.574, 0.454, 0.301)
B (0.936, 0.445, 0.186)
B (0.948, 0.459, 0.441)
P (0.235, 0.770, 0.318)
P (0.488, 0.937, 0.807)



No. 4
# Pm2Er3Cd4
Theoretical powder XRD pattern, CuKα. Input: the PBE geometry in Alexandria.
Peak positions follow from Bragg's law for the DFT cell and can differ from measured ones.

Largest 8 diffraction maxima, most intense first, 2θ = 5–70°:
2theta  I (rel.)
34.34  100
29.67  51
36.60  45
60.91  36
30.11  31
38.31  29
39.57  22
28.01  17

Cell and atoms:
Unit cell a=9.818 b=9.818 c=8.175 alpha=90.00 beta=90.00 gamma=139.54
Atoms (fractional coordinates):
Pm (0.093, 0.907, 0.899)
Pm (0.407, 0.593, 0.399)
Pm (0.593, 0.407, 0.601)
Pm (0.907, 0.093, 0.101)
Er (0.000, 0.000, 0.500)
Er (0.004, 0.496, 0.750)
Er (0.496, 0.004, 0.250)
Er (0.500, 0.500, 0.000)
Er (0.504, 0.996, 0.750)
Er (0.996, 0.504, 0.250)
Cd (0.163, 0.837, 0.515)
Cd (0.175, 0.325, 0.750)
Cd (0.325, 0.175, 0.250)
Cd (0.337, 0.663, 0.015)
Cd (0.663, 0.337, 0.985)
Cd (0.675, 0.825, 0.750)
Cd (0.825, 0.675, 0.250)
Cd (0.837, 0.163, 0.485)



No. 5
-- stop --
Click play on the pink noise track.
Go to File->Preferences->Playback->DSP Manager, click the three dots next to Vividizer to bring up the Vividizer interface.
Adjust the Half-Span Angle to fit your audio setup and then close the Vividizer interface and VST Effect Configuration windows.
Finally, click “Apply” in the ‘DSP Manager’ window to save the changes to your Half-Span Angle.
Tuning Recommendations: To tune Vividizer simply change the Half-Span Angle until the noise sounds clearly and cleanly outside the speaker, off to your right or left, and preferably up next to your ear. If one side is more obvious to you, it is recommended to just tune on that side and go with that angle setting.
Ballpark examples (not exact, just where most fall into):
Desktop studio monitors: 20-40º
Far field/floor standing speakers: 15-30º
Film configuration L/R: 20-25º
Laptops: 12-18º
Soundbars 10-16º
Known Foobar Issue
Foobar does not follow standard VST plug-in formatting and procedural calls, thus, it can be sensitive to crashing when running VST plug-ins. One such Foobar crash occurs when aggressively scrubbing the playback head. This crash shows the error window below. If this crash occurs, simply close the error window and restart the selected audio track.